Are States Really More Efficient Than the Federal Government?

Sen. Bill Cassidy testifies during a Senate Finance Committee hearing to consider the Graham-Cassidy healthcare proposal. (AP Photo/Andrew Harnik)
Political scientists and economists don't think so, but many Republicans—who want to turn national programs over to local control—do.
(Calculated molecules, as found in the file)
'''
No. 1
Here is a structure of composition C41H52IN3P2SV in a non-equilibrium geometry from the Open Molecules 2025 dataset. Energies are from ωB97M-V with the def2-TZVPD basis set.

XYZ file:
```
101
Properties=species:S:1:pos:R:3
V -1.09717 0.95430 -0.03610
C -4.36920 1.55482 -2.31764
C -4.18588 0.05485 -2.05986
C -5.02474 -0.89209 -2.90621
P -2.38626 -0.37725 -2.07068
C -2.06793 -0.73088 -3.82771
C -2.12067 0.46923 -4.76065
C -0.71669 -1.40320 -3.95991
C -2.33035 -1.98663 -1.29327
C -2.87630 -3.11067 -1.90412
C -3.17693 -4.24098 -1.16878
C -3.78083 -5.43722 -1.82265
C -2.90858 -4.17436 0.18782
C -2.29400 -3.10595 0.78763
C -1.83901 -2.03184 0.02406
N -1.05983 -1.02823 0.55986
C -0.18146 -1.43989 1.57826
C 0.35700 -2.76640 1.47525
C 1.22693 -3.30430 2.35989
C 1.74437 -2.46243 3.38647
C 2.78699 -2.96239 4.30716
C 1.27431 -1.16890 3.45552
C 0.33675 -0.60039 2.56531
P -0.24387 1.10245 2.45107
C 1.07685 2.22862 2.96564
C 1.85765 2.79891 1.77232
C 2.04583 1.82787 4.04837
C -1.50857 1.23839 3.75316
C -1.07421 0.83380 5.15685
C -2.66839 0.41214 3.28688
H -5.44166 1.79962 -2.13677
H -4.13016 1.82522 -3.34246
H -3.73795 2.15707 -1.70851
H -4.51558 -0.08413 -1.00110
H -5.14981 -0.59037 -3.96619
H -6.04884 -0.82591 -2.47845
H -4.69210 -1.92207 -2.82202
H -2.86321 -1.51844 -4.10159
H -2.04555 0.16037 -5.77044
H -1.36171 1.20485 -4.49948
H -3.10791 0.92329 -4.69638
H 0.09068 -0.62545 -3.88254
H -0.55719 -1.80968 -4.99090
H -0.47490 -2.17710 -3.20282
H -3.10513 -3.21850 -2.97850
H -3.85183 -6.30572 -1.18348
H -3.30055 -5.64271 -2.78768
H -4.79937 -5.21779 -2.12815
H -3.11155 -5.06254 0.81573
H -2.00621 -3.14448 1.83009
H 0.04407 -3.33749 0.59538
H 1.64995 -4.33390 2.25584
H 3.11667 -3.92946 3.89950
H 2.41970 -3.15651 5.29042
H 3.63712 -2.30705 4.24710
H 1.67259 -0.57785 4.27718
H 0.47504 3.12545 3.27323
H 2.46046 2.00172 1.25473
H 2.54742 3.62348 2.09831
H 1.22710 3.22327 1.01499
H 2.72780 1.12571 3.61553
H 1.66307 1.38941 4.96490
H 2.64221 2.76294 4.18131
H -1.84094 2.30925 3.65270
H -0.56386 -0.10122 5.06293
H -1.93790 0.72649 5.82649
H -0.50609 1.53747 5.73114
H -2.39704 -0.63016 3.08589
H -3.03825 0.77759 2.34060
H -3.46174 0.39467 4.00608
C 1.55697 -0.36877 -1.16753
C 1.64284 1.07532 -1.52719
C 2.76983 1.55113 -2.18872
C 2.74302 2.82884 -2.65317
C 1.60073 3.70886 -2.38773
C 1.52053 5.04271 -2.84805
C 0.48321 5.80607 -2.40339
C -0.45057 5.28662 -1.54596
C -0.48124 3.97220 -1.14315
S -1.64605 3.35489 -0.03527
C 0.57922 3.13056 -1.59951
N 0.57444 1.82023 -1.26783
H 2.26591 -0.94895 -1.81386
H 0.52979 -0.87509 -1.11739
H 1.83507 -0.56388 -0.13430
H 3.63434 0.95380 -2.44985
H 3.56807 3.19138 -3.26161
H 2.30104 5.41738 -3.56226
H 0.35820 6.86581 -2.74670
H -1.26176 5.88534 -1.15455
I 6.65522 -3.21367 1.11628
C 5.88909 -1.30918 0.77150
C 6.72798 -0.46765 0.05689
C 6.30382 0.84605 -0.13670
C 5.05709 1.19943 0.31226
N 4.20565 0.41044 0.94144
C 4.65668 -0.83858 1.20312
H 7.67437 -0.83793 -0.24689
H 6.94368 1.55994 -0.66489
H 4.64199 2.18279 0.17274
'''
The states just do it better.
That was the argument many Republicans made for the now-defunct Graham-Cassidy legislation, which would have repealed the Affordable Care Act and replaced it with federal grants that could be used as states saw fit. It is an argument they will likely continue making if and when they take another run at health-care legislation, and also as they try to transform other social programs. As Senator Jim Inhofe of Oklahoma put it to the news site Vox, “As a general rule, the states do things better than the federal government does.”
But there is little evidence that the states are more efficient administrators than Washington is, and some evidence that they might be less so. “The basic argument for state efficiency is based more on hopes and prayers than on clear evidence, across the board,” said Don Kettl, a professor of public policy at the University of Maryland. Delegating programs to the states would likely result in greater disparities in what programs offer and slimmer budgets overall, more than any radical improvements in efficiency.
As a general point, Kettl and other political scientists agree, despite its reputation for bureaucracy and incompetence, the federal government runs pretty well, and where it runs poorly it tends to be stifled by outdated rules and regulations. “The underlying argument is that the federal government is unwieldy and inefficient,” said Kettl. “That’s not true.”
Take the Social Security Administration, as slender and effective a bureaucracy as exists on earth. The organization makes monthly payments to 61 million beneficiaries, with a low error rate and overhead well below 1 percent of costs. Similarly, the Internal Revenue Service is a ruthlessly effective tax collector, when compared to those in other high-income countries and to the states. California spends 94 cents on overhead for every $100 of state tax revenue collected, for instance, with Great Britain spending 74 cents. The feds, on the other hand, spend less than 50 cents. Moreover, the federal bureaucracy functions with more oversight—powerful inspectors general, Congressional budget hawks and committee chairs, and the press sniffing around—than statehouses do, helping to reduce graft.
That said, it is not easy to compare the state and federal governments in terms of efficiency. For one, they tend to do different things, with federal dollars primarilyspent on Social Security, health-insurance programs, and the military, and state dollars spent on education, health, transportation, prisons, and a variety of other priorities. “There are some types of things that state governments are good at handling, and other things the federal government is good at handling,” said Jason Sorens, the program director of the Political Economy Project at Dartmouth College. “There are some kinds of fiscal relationships between the federal and state governments that are more efficient than others, but that’s not the same thing as saying that states are more efficient than the federal government.”
Unrelated to this entry: data records:
┌──
239
Properties=species:S:1:pos:R:3:forces:R:3 method="wB97M-V/def2-TZVPD" multiplicity=2 gap_ev="8.369 / 1.879" total_charge=+8 largest_force_ha_per_bohr=0.259
N -0.7440 -0.5819 -0.6058 5.02 0.11 -4.48
S -1.2215 -1.0712 0.6746 -7.93 0.17 10.72
O -0.5698 -0.5377 1.8830 -0.78 -1.28 -2.42
O -1.7898 -2.3890 0.6580 1.17 0.09 0.31
F -2.6593 -0.2205 0.6985 1.09 0.15 -0.39
S 0.5979 -1.6086 -0.5939 2.80 -2.10 -4.61
O 0.3273 -2.9964 -1.0083 0.21 3.03 0.81
O 1.6555 -1.3657 0.3304 -1.04 0.21 0.08
F 1.1894 -0.9230 -1.9396 -0.33 -0.30 0.12
C -4.1964 3.6108 -3.1089 0.38 1.33 -0.54
O -3.7446 2.6538 -2.1768 -0.65 -0.43 0.10
C -2.3721 2.5967 -1.8857 -0.73 -1.01 -0.04
C -1.6105 1.8127 -2.9659 -0.83 -0.51 0.53
N -1.7746 0.2728 -2.9573 -1.46 0.66 -0.60
H -1.1964 -0.0085 -3.7362 0.33 -0.25 -0.25
H -1.3989 -0.0961 -2.0954 0.56 -0.26 0.58
C -3.1095 -0.5003 -3.1922 0.32 2.18 -1.22
C -3.8857 0.1748 -4.3757 0.92 -0.60 -1.36
O -3.0542 0.3806 -5.5969 -0.72 -0.49 2.54
C -3.8592 0.8952 -6.6671 0.58 -0.31 -0.59
H -4.0730 4.6230 -2.7239 -0.23 0.23 0.52
H -5.2397 3.4846 -3.3984 0.07 -0.43 0.43
H -3.6383 3.7136 -4.0395 0.34 -0.79 -0.24
H -2.3211 2.0764 -0.9293 0.14 -0.28 0.09
H -1.9790 3.5898 -1.6679 0.45 0.25 -0.59
H -0.5430 1.9200 -2.7731 0.06 0.23 -0.58
H -1.9927 2.0996 -3.9455 0.65 0.24 -0.12
H -3.6993 -0.5072 -2.2756 0.07 0.26 -0.05
H -2.7813 -1.5187 -3.4003 -0.10 0.08 -0.24
H -4.3289 1.1492 -4.1704 0.04 -0.15 0.64
H -4.6892 -0.5193 -4.6223 -0.22 0.00 -0.06
H -4.5987 0.1645 -6.9949 -0.11 -0.01 0.12
H -3.1454 1.0385 -7.4782 -0.21 0.11 -0.05
H -4.3430 1.8464 -6.4453 0.01 0.03 0.27
C -5.6590 2.3136 0.5796 -0.03 -0.54 -0.38
O -6.1507 2.8133 1.8068 -1.20 -0.06 1.57
C -7.5816 3.0080 1.6993 0.01 0.34 -0.02
C -8.3874 3.4554 2.9777 1.57 -1.16 -1.29
N -7.7269 4.6117 3.6770 -0.51 0.03 1.78
H -7.5208 5.3702 3.0427 0.98 0.03 -0.69
H -8.4750 5.0630 4.1837 -0.72 0.06 0.72
C -6.6535 4.2328 4.7125 -0.38 0.00 -1.17
C -6.2122 5.3278 5.6448 -0.54 0.29 -1.08
O -5.7905 6.5308 4.9245 0.01 -1.25 1.13
C -4.8702 7.3308 5.5843 0.58 1.71 -1.15
H -4.7334 1.7581 0.7302 0.52 0.86 0.20
H -5.6548 3.1515 -0.1176 0.52 -0.25 -0.41
H -6.2495 1.5002 0.1579 -0.74 0.22 0.04
H -8.0307 2.0822 1.3397 -0.23 -0.01 0.12
H -7.7064 3.7530 0.9136 -0.40 0.22 -0.11
H -8.4616 2.6337 3.6901 -0.06 0.15 0.09
H -9.3855 3.7809 2.6844 0.06 -0.09 -0.10
H -5.8694 3.7396 4.1381 0.20 0.14 0.15
H -7.0617 3.5043 5.4131 -0.39 -0.29 -0.34
H -5.5274 4.8799 6.3649 0.57 0.68 0.09
H -7.0548 5.7395 6.2003 -0.49 0.14 0.43
H -5.1420 7.6568 6.5882 -0.26 -0.49 0.64
H -4.6952 8.2222 4.9819 -0.27 0.00 -0.06
H -3.9338 6.7729 5.5880 0.41 -0.47 0.58
C 1.7457 1.4716 3.6067 -0.31 -0.16 -0.77
C 2.0060 2.2003 4.9146 0.87 0.58 0.09
C 3.3283 3.0478 4.9091 -0.07 0.04 1.48
N 4.3710 2.6540 6.0197 -1.85 0.92 -0.48
C 4.6840 1.1694 5.8130 0.55 -1.03 1.57
C 5.9939 0.7179 6.5314 -0.20 0.32 -0.73
C 7.0884 1.6634 6.0719 0.81 0.31 1.26
C 6.8056 3.1131 6.5016 -0.07 0.19 -0.30
C 5.5265 3.6334 5.8446 0.59 -0.68 -0.76
C 3.7106 2.9611 7.4006 0.84 -2.05 0.06
└──
Making them even harder to compare is the fact that states are often spending federal dollars and complying with federal regulations, blurring the line between state and national initiatives. “The federal government is like a giant ATM,” said Elaine Kamarck, the director of the Center for Effective Public Management at the Brookings Institution. “Scratch any state or local program and you’ll find federal money. This is why everyone’s decided government shutdowns are a real disaster. The two times it happens, everybody realizes it’s not just the national park that closes—it’s Catholic Charities and the drug treatment center down the road.”
Indeed, Medicaid—which Lindsey Graham of South Carolina and Bill Cassidy of Louisiana had hoped to turn into a block grant to the states—is one such federal-state partnership. The states already have latitude in spending federal dollars on the program; for example, Missouri chooses to fund “health homes” and Oregon puts money toward accountable care organizations.“These innovative models demonstrate that current Medicaid rules allow states significant flexibility,” argues Hannah Katch of the Center on Budget and Policy Priorities, a Washington-based think tank. What is more, the system has delivered high-quality care at a relatively low cost, both in administrative terms and in terms of spending per person. “States have actually been quite good at delivering health coverage efficiently through Medicaid,” said Larry Levitt of the Kaiser Family Foundation, a health research group.
Given those dynamics, experts doubted that Graham-Cassidy or other repeal-and-replace efforts pushing responsibility to the states would yield much of an improvement. Rather, the block grants would have led states to ration care and drop participants from the rolls in order to meet federal budget cuts, such as the half a trillion dollars that Graham-Cassidy would have cut over 10 years. “In the health-care world, people have been looking for the magic bullet on efficiency for ages,” said Kamarck of Brookings. “They want computer health records. They want this, that, and the other. We haven’t found the magic bullet to reduce health-care costs. If Medicare and Medicaid and various state health programs have not been able to do so, I don’t think this would either.”
More broadly, turning programs over to the states tends to result in the 50 capitals pursuing varying policy priorities and achieving disparate policy outcomes—not in a sleeker, more efficient government. Look at what happened with welfare, or the Temporary Assistance for Needy Families (TANF) program, which was turned into a fixed block grant to the states during the Clinton administration and has become a Republican exemplar of the efficiency argument ever since. “In 1996, we block-granted money for welfare reform, and it worked like a charm,” Graham said at a news conference this month, making the case for his health-care legislation. “We put governors in charge of the program. We held them accountable.”
But the welfare rolls shrank mostly because states kicked people off of the program, not because the program got more effective and efficient. An initiative that used to cover 68 of every 100 families in poverty now reaches just 23 of every 100 with cash benefits, the Center on Budget and Policy Priorities has found. Plus, given more flexibility and authority, states started using the money for initiatives other than cash benefits for poor mothers, such as early-childhood education and job training. That led to wide state-by-state differences in program outcomes. California covers 65 out of every 100 families in poverty with cash benefits under TANF, for instance, while Louisiana covers just four.
Much might be the same if Congress block-granted Medicaid or food stamps. “If you delegate to the states, the only thing you can be sure of is big disparities,” said Kettl. The efficiency argument, it turns out, is more about political philosophy than policy expediency, more about federalism than management, and more about limiting government spending than making government work.
Annie Lowrey is a contributing editor at The Atlantic, where this article was originally published.
-- begin --
# C49H57BBrN7O2SW

A structure of composition C49H57BBrN7O2SW (ωB97M-V/def2-TZVPD, OMol25).

Computed properties:
net charge = +2
⟨S²⟩ = 2.0265
multiplicity = 3
E = -5499.0027 a.u.
highest occupied orbital energy (alpha / beta) = -12.42 / -12.50 eV
frontier orbital gap (alpha / beta) = 6.193 / 6.164 eV

Geometry as XYZ:
```
119
Properties=species:S:1:pos:R:3:nbo_charge:R:1
W 0.284 -0.426 0.887 1.576
C -2.936 -0.200 1.804 -0.268
N -1.675 -0.958 1.593 -0.611
C -1.740 -2.234 1.968 0.179
C -0.633 -3.060 1.874 -0.028
C -0.373 -4.394 2.225 -0.176
C 0.974 -4.600 1.973 -0.278
C 1.490 -3.389 1.488 0.026
N 0.526 -2.463 1.411 -0.551
C -3.714 0.158 0.566 0.038
C -4.392 -0.836 -0.136 -0.245
C -5.198 -0.511 -1.214 -0.206
C -5.332 0.818 -1.602 -0.208
C -4.653 1.810 -0.914 -0.209
C -3.847 1.479 0.166 -0.206
H -2.712 0.697 2.374 0.220
H -3.580 -0.819 2.431 0.209
H -2.659 -2.625 2.395 0.219
H -1.084 -5.099 2.621 0.244
H 1.536 -5.504 2.130 0.243
H 2.513 -3.171 1.221 0.208
H -4.319 -1.870 0.186 0.209
H -5.753 -1.287 -1.726 0.222
H -5.986 1.081 -2.424 0.220
H -4.761 2.846 -1.208 0.224
H -3.333 2.262 0.712 0.214
C 2.444 3.512 -2.107 -0.637
C 1.585 3.321 -0.891 -0.038
C 1.122 4.372 -0.111 -0.112
C 0.305 4.110 0.975 -0.192
C -0.006 2.800 1.283 0.142
Br -1.157 2.508 2.733 0.184
N 0.445 1.757 0.573 -0.582
C 1.202 2.050 -0.513 0.091
H 2.476 4.558 -2.405 0.239
H 2.062 2.928 -2.945 0.237
H 3.468 3.190 -1.913 0.234
H 1.373 5.395 -0.362 0.241
H -0.098 4.904 1.584 0.248
H 1.497 1.214 -1.133 0.217
C -0.252 -2.956 -2.704 -0.263
C -0.450 -2.113 -1.611 0.098
N 0.561 -1.520 -0.992 -0.504
C 1.820 -1.775 -1.405 0.243
C 2.113 -2.601 -2.491 -0.107
C 1.026 -3.193 -3.155 -0.021
C 3.488 -2.823 -2.841 -0.163
C 4.483 -2.259 -2.125 -0.155
C 4.197 -1.416 -0.995 -0.072
C 5.192 -0.811 -0.208 -0.088
C 4.817 -0.006 0.837 -0.224
C 3.461 0.183 1.113 0.099
N 2.491 -0.396 0.408 -0.497
C 2.868 -1.176 -0.644 0.152
H -1.104 -3.422 -3.177 0.246
H -1.440 -1.910 -1.219 0.237
H 1.202 -3.845 -4.001 0.234
H 3.711 -3.459 -3.688 0.244
H 5.518 -2.432 -2.387 0.243
H 6.237 -0.979 -0.434 0.247
H 5.550 0.485 1.462 0.255
H 3.157 0.838 1.916 0.244
C 3.783 -0.752 9.128 -0.596
C 4.502 -1.121 7.823 -0.083
C 4.609 -2.644 7.742 -0.608
C 5.922 -0.540 7.837 -0.596
C 3.721 -0.536 6.646 0.031
C 3.592 0.858 6.538 -0.196
C 2.884 1.479 5.517 -0.237
C 2.305 0.645 4.587 0.184
O 1.553 0.964 3.465 -0.688
B 1.205 -0.257 2.887 0.718
O 1.739 -1.304 3.618 -0.675
C 2.418 -0.723 4.675 0.274
C 3.114 -1.348 5.687 -0.266
H 4.322 -1.167 9.980 0.220
H 2.768 -1.151 9.139 0.213
H 3.725 0.328 9.263 0.209
H 5.196 -3.009 8.584 0.227
H 5.109 -2.967 6.826 0.207
H 3.630 -3.124 7.795 0.210
H 6.493 -0.979 8.656 0.221
H 5.921 0.541 7.980 0.208
H 6.444 -0.759 6.905 0.209
H 4.054 1.486 7.287 0.226
H 2.788 2.554 5.462 0.235
H 3.170 -2.425 5.726 0.239
C -1.111 -0.750 -6.609 -0.610
C -2.582 -1.070 -6.869 -0.402
C -3.347 -1.625 -5.667 -0.399
C -3.737 -0.610 -4.601 -0.221
N -2.571 -0.160 -3.831 -0.594
C -2.327 1.013 -3.230 0.393
S -1.279 1.105 -1.875 -0.388
-- stop --
# Back to the piece
NEXT STORY: Minnesota Health Commissioner: CHIP Failure Calls Reliability of Federal ‘Partners’ Into Question